(Work order)
Quote everything below without altering anything.

(Given)
- - -
1.
Material: PrY4Zn
Method: DFT, PBE-GGA
State: optimized geometry

a = 8.9352 Å, b = 13.8110 Å, c = 6.2412 Å
α = 90.00°, β = 109.40°, γ = 90.00°
Space group C2/c (No. 15)
Symmetry-distinct sites (fractional):
1 Pr 0.0000 0.1140 0.2500 x4
2 Y 0.1047 0.3189 0.5610 x8
3 Y 0.2220 0.0958 0.8563 x8
4 Zn 0.0000 0.4988 0.7500 x4

E_tot (eV/cell): -128.1



2.
Material: PrY4Zn5
Method: DFT, PBE-GGA
State: optimized geometry

a = 3.6012 Å, b = 3.6012 Å, c = 18.0984 Å
α = 90.00°, β = 90.00°, γ = 90.00°
Space group P4/mmm (No. 123)
Symmetry-distinct sites (fractional):
1 Pr 0.0000 0.0000 0.0000 x1
2 Y 0.0000 0.0000 0.2047 x2
3 Y 0.0000 0.0000 0.4019 x2
4 Zn 0.5000 0.5000 0.1097 x2
5 Zn 0.5000 0.5000 0.3029 x2
6 Zn 0.5000 0.5000 0.5000 x1

E_tot (eV/cell): -40.4



3.
Material: PrY3Zn4
Method: DFT, PBE-GGA
State: optimized geometry

a = 5.0929 Å, b = 5.0929 Å, c = 7.2797 Å
α = 90.00°, β = 90.00°, γ = 90.00°
Space group P4/mmm (No. 123)
Symmetry-distinct sites (fractional):
1 Pr 0.0000 0.0000 0.0000 x1
2 Y 0.0000 0.0000 0.5000 x1
3 Y 0.5000 0.5000 0.0000 x1
4 Y 0.5000 0.5000 0.5000 x1
5 Zn 0.0000 0.5000 0.2597 x4

E_tot (eV/cell): -32.0



4.
Material: PrYZn
Method: DFT, PBE-GGA
State: optimized geometry

a = 3.6618 Å, b = 3.6618 Å, c = 12.4703 Å
α = 90.00°, β = 90.00°, γ = 90.00°
Space group I4mm (No. 107)
Symmetry-distinct sites (fractional):
1 Pr 0.0000 0.0000 0.0000 x2
2 Y 0.0000 0.0000 0.2866 x2
3 Zn 0.0000 0.0000 0.6555 x2

E_tot (eV/cell): -26.3

~~~~~

## AsRhCSe2 (PBE)

Data for a relaxed structure of AsRhCSe2.

Properties
- Total magnetization: 0.0 μB per cell
- Formation energy without anion corrections: 1.1047 eV per atom
- Energy above the lowest structure with this stoichiometry: 0.00 eV per formula unit
- SG: P4/mmm, No. 123
- E_tot: -4.5341 eV per atom

Cell lengths 4.3520, 4.3520, 4.2022 Å; angles 90.00, 90.00, 90.00 degrees
Closest atoms and distances in Å follow each position.
Atoms (fractional coordinates):
1 As 0.0000 0.0000 0.5000  2 C 2.10
2 Rh 0.5000 0.5000 0.5000  8 Se 3.02, 4 As 3.08
3 C 0.0000 0.0000 0.0000  2 As 2.10, 4 Se 2.18
4 Se 0.0000 0.5000 0.0000  2 C 2.18
5 Se 0.5000 0.0000 0.0000  2 C 2.18

## AsRhCSe2 (PBE)

Data for a relaxed structure of AsRhCSe2.

Properties
- Total magnetization: 0.0 μB per cell
- Formation energy without anion corrections: 1.7082 eV per atom
- Energy above the lowest structure with this stoichiometry: 3.02 eV per formula unit
- SG: P4/mmm, No. 123
- E_tot: -3.9306 eV per atom

Cell lengths 5.0144, 5.0144, 4.5898 Å; angles 90.00, 90.00, 90.00 degrees
Closest atoms and distances in Å follow each position.
Atoms (fractional coordinates):
1 As 0.0000 0.0000 0.5000  2 Rh 2.29
2 Rh 0.0000 0.0000 0.0000  2 As 2.29, 4 Se 2.51
3 C 0.5000 0.5000 0.5000  8 Se 3.40, 4 As 3.55
4 Se 0.0000 0.5000 0.0000  2 Rh 2.51
5 Se 0.5000 0.0000 0.0000  2 Rh 2.51

## As2RhCSe (PBE)

Data for a relaxed structure of As2RhCSe.

Properties
- Total magnetization: 0.0 μB per cell
- Formation energy without anion corrections: 1.0132 eV per atom
- Energy above the lowest structure with this stoichiometry: 0.00 eV per formula unit
- SG: P4/mmm, No. 123
- E_tot: -4.8586 eV per atom

Cell lengths 4.2219, 4.2219, 4.3808 Å; angles 90.00, 90.00, 90.00 degrees
Closest atoms and distances in Å follow each position.
Atoms (fractional coordinates):
1 As 0.0000 0.5000 0.0000  2 C 2.11
2 As 0.5000 0.0000 0.0000  2 C 2.11
3 Rh 0.5000 0.5000 0.5000  4 Se 2.99, 8 As 3.04
4 C 0.0000 0.0000 0.0000  4 As 2.11, 2 Se 2.19
5 Se 0.0000 0.0000 0.5000  2 C 2.19

no.,density of states at the Fermi level (states/eV per atom)
1,0.48
2,0.99
3,0.64
- - -

(Solution)
1.
Material: PrY4Zn
Method: DFT, PBE-GGA
State: optimized geometry

a = 8.9352 Å, b = 13.8110 Å, c = 6.2412 Å
α = 90.00°, β = 109.40°, γ = 90.00°
Space group C2/c (No. 15)
Symmetry-distinct sites (fractional):
1 Pr 0.0000 0.1140 0.2500 x4
2 Y 0.1047 0.3189 0.5610 x8
3 Y 0.2220 0.0958 0.8563 x8
4 Zn 0.0000 0.4988 0.7500 x4

E_tot (eV/cell): -128.1



2.
Material: PrY4Zn5
Method: DFT, PBE-GGA
State: optimized geometry

a = 3.6012 Å, b = 3.6012 Å, c = 18.0984 Å
α = 90.00°, β = 90.00°, γ = 90.00°
Space group P4/mmm (No. 123)
Symmetry-distinct sites (fractional):
1 Pr 0.0000 0.0000 0.0000 x1
2 Y 0.0000 0.0000 0.2047 x2
3 Y 0.0000 0.0000 0.4019 x2
4 Zn 0.5000 0.5000 0.1097 x2
5 Zn 0.5000 0.5000 0.3029 x2
6 Zn 0.5000 0.5000 0.5000 x1

E_tot (eV/cell): -40.4



3.
Material: PrY3Zn4
Method: DFT, PBE-GGA
State: optimized geometry

a = 5.0929 Å, b = 5.0929 Å, c = 7.2797 Å
α = 90.00°, β = 90.00°, γ = 90.00°
Space group P4/mmm (No. 123)
Symmetry-distinct sites (fractional):
1 Pr 0.0000 0.0000 0.0000 x1
2 Y 0.0000 0.0000 0.5000 x1
3 Y 0.5000 0.5000 0.0000 x1
4 Y 0.5000 0.5000 0.5000 x1
5 Zn 0.0000 0.5000 0.2597 x4

E_tot (eV/cell): -32.0



4.
Material: PrYZn
Method: DFT, PBE-GGA
State: optimized geometry

a = 3.6618 Å, b = 3.6618 Å, c = 12.4703 Å
α = 90.00°, β = 90.00°, γ = 90.00°
Space group I4mm (No. 107)
Symmetry-distinct sites (fractional):
1 Pr 0.0000 0.0000 0.0000 x2
2 Y 0.0000 0.0000 0.2866 x2
3 Zn 0.0000 0.0000 0.6555 x2

E_tot (eV/cell): -26.3

~~~~~

## AsRhCSe2 (PBE)

Data for a relaxed structure of AsRhCSe2.

Properties
- Total magnetization: 0.0 μB per cell
- Formation energy without anion corrections: 1.1047 eV per atom
- Energy above the lowest structure with this stoichiometry: 0.00 eV per formula unit
- SG: P4/mmm, No. 123
- E_tot: -4.5341 eV per atom

Cell lengths 4.3520, 4.3520, 4.2022 Å; angles 90.00, 90.00, 90.00 degrees
Closest atoms and distances in Å follow each position.
Atoms (fractional coordinates):
1 As 0.0000 0.0000 0.5000  2 C 2.10
2 Rh 0.5000 0.5000 0.5000  8 Se 3.02, 4 As 3.08
3 C 0.0000 0.0000 0.0000  2 As 2.10, 4 Se 2.18
4 Se 0.0000 0.5000 0.0000  2 C 2.18
5 Se 0.5000 0.0000 0.0000  2 C 2.18

## AsRhCSe2 (PBE)

Data for a relaxed structure of AsRhCSe2.

Properties
- Total magnetization: 0.0 μB per cell
- Formation energy without anion corrections: 1.7082 eV per atom
- Energy above the lowest structure with this stoichiometry: 3.02 eV per formula unit
- SG: P4/mmm, No. 123
- E_tot: -3.9306 eV per atom

Cell lengths 5.0144, 5.0144, 4.5898 Å; angles 90.00, 90.00, 90.00 degrees
Closest atoms and distances in Å follow each position.
Atoms (fractional coordinates):
1 As 0.0000 0.0000 0.5000  2 Rh 2.29
2 Rh 0.0000 0.0000 0.0000  2 As 2.29, 4 Se 2.51
3 C 0.5000 0.5000 0.5000  8 Se 3.40, 4 As 3.55
4 Se 0.0000 0.5000 0.0000  2 Rh 2.51
5 Se 0.5000 0.0000 0.0000  2 Rh 2.51

## As2RhCSe (PBE)

Data for a relaxed structure of As2RhCSe.

Properties
- Total magnetization: 0.0 μB per cell
- Formation energy without anion corrections: 1.0132 eV per atom
- Energy above the lowest structure with this stoichiometry: 0.00 eV per formula unit
- SG: P4/mmm, No. 123
- E_tot: -4.8586 eV per atom

Cell lengths 4.2219, 4.2219, 4.3808 Å; angles 90.00, 90.00, 90.00 degrees
Closest atoms and distances in Å follow each position.
Atoms (fractional coordinates):
1 As 0.0000 0.5000 0.0000  2 C 2.11
2 As 0.5000 0.0000 0.0000  2 C 2.11
3 Rh 0.5000 0.5000 0.5000  4 Se 2.99, 8 As 3.04
4 C 0.0000 0.0000 0.0000  4 As 2.11, 2 Se 2.19
5 Se 0.0000 0.0000 0.5000  2 C 2.19

no.,density of states at the Fermi level (states/eV per atom)
1,0.48
2,0.99
3,0.64